Integrating Asset Location and Asset Allocation for High Net Worth

Integrating Asset Location and
Asset Allocation for High Net
Worth Investors
Dan diBartolomeo
Northfield Seminar 2006
Stowe, Vermont
The Asset Location and Allocation
Decisions are Inextricably Linked
• The most common integration situation is asset
allocation across the entire portfolio of an individual
including both taxable and tax deferred accounts
Another case is an individual entity with multiple
A particularly complex integration situation is a family
with multiple individuals, trust funds and tax deferred
Integration of the location problem can be addressed at
both the asset allocation level and the individual security
Traditional Asset Allocation Adapted
• The key issue in formulating investment policies is how
aggressive or conservative an investor should be to
maximize their long term wealth subject to a shortfall
constraint (a floor on wealth). One way to express this is
U = E{ R * (1-T*) - L S2 (1-T*)2 / 2 }
– L is the ratio of total assets/net worth
– In Northfield terminology RAP = 2/L
– T* is the effective tax rate which can vary by asset class
• Total assets and liabilities on an investor’s “life balance
sheet” can be flexibly defined to include the present
## Unrelated to this page: crystal structures
[1]
Material: TaAl2Pt
Method: DFT, PBE
State: optimized geometry

abc: 4.0712 4.0712 3.7782
angles: 90.00 90.00 90.00
Closest atoms and distances in Å follow each position.
Fractional positions:
Ta1 0.0000 0.0000 0.0000  8 Al 2.78, 4 Pt 2.88
Al1 0.0000 0.5000 0.5000  4 Ta 2.78, 4 Pt 2.78, 4 Al 2.88
Al2 0.5000 0.0000 0.5000  4 Ta 2.78, 4 Pt 2.78, 4 Al 2.88
Pt1 0.5000 0.5000 0.0000  8 Al 2.78, 4 Ta 2.88

Fermi-level density of states (states/eV/atom): 0.40
Calculated volume (Å³ per atom): 15.7
Formation energy from the elements (eV/atom): -0.586
Space group: P4/mmm (123)

***

[2]
Material: CeCuPt2
Method: DFT, PBE
State: optimized geometry

abc: 6.6738 6.6738 6.6738
angles: 90.00 90.00 90.00
Closest atoms and distances in Å follow each position.
Fractional positions:
Ce1 0.0000 0.0000 0.0000  8 Pt 2.89
Ce2 0.0000 0.5000 0.5000  8 Pt 2.89
Ce3 0.5000 0.0000 0.5000  8 Pt 2.89
Ce4 0.5000 0.5000 0.0000  8 Pt 2.89
Cu1 0.0000 0.0000 0.5000  8 Pt 2.89
Cu2 0.0000 0.5000 0.0000  8 Pt 2.89
Cu3 0.5000 0.0000 0.0000  8 Pt 2.89
Cu4 0.5000 0.5000 0.5000  8 Pt 2.89
Pt1 0.2500 0.2500 0.2500  4 Ce 2.89, 4 Cu 2.89
Pt2 0.2500 0.2500 0.7500  4 Cu 2.89, 4 Ce 2.89
Pt3 0.2500 0.7500 0.2500  4 Cu 2.89, 4 Ce 2.89
Pt4 0.2500 0.7500 0.7500  4 Ce 2.89, 4 Cu 2.89
Pt5 0.7500 0.2500 0.2500  4 Cu 2.89, 4 Ce 2.89
Pt6 0.7500 0.2500 0.7500  4 Ce 2.89, 4 Cu 2.89
Pt7 0.7500 0.7500 0.2500  4 Ce 2.89, 4 Cu 2.89
Pt8 0.7500 0.7500 0.7500  4 Ce 2.89, 4 Cu 2.89

Fermi-level density of states (states/eV/atom): 0.81
Calculated volume (Å³ per atom): 18.6
Formation energy from the elements (eV/atom): -0.607
Space group: Fm-3m (225)

***

[3]
Material: AcMnGe3
Method: DFT, PBE
State: optimized geometry

abc: 6.3526 6.3526 5.8840
angles: 90.00 90.00 120.00
Closest atoms and distances in Å follow each position.
Fractional positions:
Ac1 0.3333 0.6667 0.2500  12 Ge 3.19-3.34
Ac2 0.6667 0.3333 0.7500  12 Ge 3.19-3.34
Mn1 0.0000 0.0000 0.0000  6 Ge 2.56
Mn2 0.0000 0.0000 0.5000  6 Ge 2.56
Ge1 0.1901 0.3802 0.7500  2 Mn 2.56, 2 Ge 2.73
Ge2 0.1901 0.8099 0.7500  2 Mn 2.56, 2 Ge 2.73
Ge3 0.3802 0.1901 0.2500  2 Mn 2.56, 2 Ge 2.73
Ge4 0.6198 0.8099 0.7500  2 Mn 2.56, 2 Ge 2.73
Ge5 0.8099 0.1901 0.2500  2 Mn 2.56, 2 Ge 2.73
Ge6 0.8099 0.6198 0.2500  2 Mn 2.56, 2 Ge 2.73

Fermi-level density of states (states/eV/atom): 0.53
Calculated volume (Å³ per atom): 20.6
Distance to the lowest polymorph of the same formula (meV per atom): 4
Formation energy from the elements (eV/atom): -0.395
Space group: P6_3/mmc (194)

***

[4]
Material: KZnAu
Method: DFT, PBE
State: optimized geometry

abc: 7.6947 7.6947 7.6947
angles: 90.00 90.00 90.00
Closest atoms and distances in Å follow each position.
Fractional positions:
K1 0.0000 0.0000 0.0000  4 Au 3.33, 4 Zn 3.33
K2 0.0000 0.5000 0.5000  4 Au 3.33, 4 Zn 3.33
K3 0.5000 0.0000 0.5000  4 Au 3.33, 4 Zn 3.33
K4 0.5000 0.5000 0.0000  4 Au 3.33, 4 Zn 3.33
Zn1 0.2500 0.2500 0.7500  4 K 3.33
Zn2 0.2500 0.7500 0.2500  4 K 3.33
Zn3 0.7500 0.2500 0.2500  4 K 3.33
value of implied assets such as lifetime employment
savings, expected expenses such as college tuition,
insurance, estate taxes
Basic Considerations for Taxable
• Consider each asset class inside a retirement account as
distinct from its taxable counterpart. The effective tax
rates are vastly different
• Evaluate the taxable/tax exempt bond decision inclusive
of Alternative Minimum Tax if applicable.
– The tax on municipal bonds is not zero
– Tax “loss harvesting” has always been a prevalent practice
among tax exempt bond investors
• Asset classes with high degrees of cross-sectional return
dispersion (e.g. small cap stocks) offer the greatest
opportunities for tax deferral. This can reduce the
effective tax rate.
Integration of tax deferred (i.e.
retirement plans) and taxed assets
• There are a whole myriad of “individual retirement
plans” for US investors.
– Either tax deductible contributions and tax deferral
– Or non- deductible contributions and tax exempt investment
– For the very wealthy, IRPs are of lesser importance
Asset allocation and asset location are one problem
– Treat each asset class inside an IRP as distinct from the normal
class with its own effective tax used in asset allocation
– Funding for unexpected expenditures should be outside the IRP
as there are penalties for early withdrawals
– Most heavily taxed asset such as taxable bonds go inside IRPs
• Rebalancing asset allocations will usually mean moving
money from stocks to bonds, so a balanced IRP account
can minimize rebalancing tax costs
– Tax inefficient equity funds can go insider IRPs
How about an Easy
Tax Aware MDA?
• Multiple Discipline Accounts are just multiple
SMA managers sold to individuals as a package
Assume each manager ignores taxes in forming
a model portfolio for each client
If the manager mandates are mutually exclusive,
one approach is to just build a benchmark that is
the weighted sum of the model portfolios
Passively tax optimize the combined portfolio
against the joint benchmark
– Return proceeds of tax motivated transactions back to
the source account for reinvestment
A Smarter Tax Aware MDA?
• This works better than the simple approach and is
necessary if the manager’s have overlapping universes
– At each rebalancing, take each manager’s model portfolio and
compute “implied returns” using your favorite model of risk
– Transform tracking error into risk tolerance to allow for different
aggressiveness levels across different managers
– Form the weighted consensus alpha across all managers for
each stock
– Optimize the portfolio to the joint benchmark using the
consensus alphas and tax awareness
• Details at:
– diBartolomeo, Dan. “A Radical Proposal for the Operation of
Multiple Manager Investment Funds”, Northfield Working Paper,
• Vanguard Australia is using this technique very
successfully with large pension funds (which are taxable
Lets Consider A More General Case
• We want to find the globally optimal portfolio for a set of
related sub-portfolios
– Possibly ownership of different assets by different individuals or
legal entities
– Potential different tax rates and legacy positions
– Legal considerations my require different risk levels of risk
aversion in different accounts including position size constraints
• We would like
– To be tax efficient across the entire portfolio
– Capture as much pre-tax performance as possible
• We can’t just optimize as one big portfolio because we
can’t move money between accounts
Stupid Optimizer Tricks
• Transform the problem into a mathematically equivalent
problem with uniform risk tolerance and tax rates across
all accounts
• Create separate versions of each security for each
account such as IBM_Husband, IBM_Wife, IBM_IRA
• Some commercial optimizers can handle “composite
assets” which is a single representation of a portfolio
(such as ETF or index future)
• The market value of all “_Husband” securities must
always add up the starting value less transaction costs
– Set position size limits on “versions” as needed
– Factor constraints at the sub- account level
• Wealth management for individuals and families
will inevitably intertwine asset allocation and
asset location
Asset allocation should be undertaken using
effective tax rates for each asset class, treating
the same asset class separately for each
applicable tax situation
Procedures exist for handling the impact of asset
location on portfolio management strategies
• Next to the entry, the page also holds records of crystals:
<<<
1.
Entry from the Alexandria database: a relaxed structure of Th2SbAu (PBE).

a b c (Å): 6.290 4.347 8.835
angles (deg): 90.00 110.65 90.00
Fractional positions:
Th 0.209 0.250 0.438
Th 0.219 0.250 0.920
Th 0.781 0.750 0.080
Th 0.791 0.750 0.562
Sb 0.326 0.750 0.207
Sb 0.674 0.250 0.793
Au 0.332 0.750 0.707
Au 0.668 0.250 0.293

Summary:
Symmetry = P2_1/m
Uncorrected energy = -50.2 eV per cell

2.
Entry from the Alexandria database: a relaxed structure of Th5Sb5Au (PBE).

a b c (Å): 7.731 7.731 8.907
angles (deg): 106.88 106.88 48.37
Fractional positions:
Th 0.000 0.000 0.000
Th 0.337 0.337 0.670
Th 0.338 0.338 0.163
Th 0.662 0.662 0.837
Th 0.663 0.663 0.330
Sb 0.163 0.163 0.825
Sb 0.172 0.172 0.336
Sb 0.500 0.500 0.500
Sb 0.828 0.828 0.664
Sb 0.837 0.837 0.175
Au 0.500 0.500 0.000

Summary:
Symmetry = C2/m
Uncorrected energy = -68.3 eV per cell

3.
Entry from the Alexandria database: a relaxed structure of ThSb3Au3 (PBE).

a b c (Å): 7.489 7.489 7.489
angles (deg): 90.00 90.00 90.00
Fractional positions:
Th 0.000 0.000 0.000
Th 0.500 0.500 0.500
Sb 0.000 0.250 0.500
Sb 0.000 0.750 0.500
Sb 0.250 0.500 0.000
Sb 0.500 0.000 0.250
Sb 0.500 0.000 0.750
Sb 0.750 0.500 0.000
Au 0.000 0.500 0.250
Au 0.000 0.500 0.750
Au 0.250 0.000 0.500
Au 0.500 0.250 0.000
Au 0.500 0.750 0.000
Au 0.750 0.000 0.500

Summary:
Symmetry = Pm-3n
Uncorrected energy = -56.1 eV per cell

4.
Entry from the Alexandria database: a relaxed structure of Th5Sb4Au (PBE).

a b c (Å): 11.939 11.939 11.939
angles (deg): 158.71 149.17 37.77
Fractional positions:
Th 0.000 0.000 0.000
Th 0.201 0.201 0.000
Th 0.408 0.408 0.000
Th 0.592 0.592 0.000
Th 0.799 0.799 0.000
Sb 0.101 0.601 0.500
Sb 0.304 0.804 0.500
Sb 0.696 0.196 0.500
Sb 0.899 0.399 0.500
Au 0.500 0.000 0.500

Summary:
Symmetry = Immm
Uncorrected energy = -65.1 eV per cell

5.
Entry from the Alexandria database: a relaxed structure of TiSb2Au (PBE).

a b c (Å): 6.567 6.567 6.567
angles (deg): 37.69 37.69 37.69
Fractional positions:
Ti 0.000 0.000 0.000
Sb 0.411 0.411 0.411
Sb 0.591 0.591 0.591
Au 0.838 0.838 0.838

Summary:
Symmetry = R3m
Uncorrected energy = -19.6 eV per cell

6.
Entry from the Alexandria database: a relaxed structure of TiSb2Au (PBE).

a b c (Å): 4.767 4.767 3.684
angles (deg): 90.00 90.00 90.00
Fractional positions:
Ti 0.000 0.000 0.000
Sb 0.000 0.500 0.500
Sb 0.500 0.000 0.500
Au 0.500 0.500 0.000

Summary:
Symmetry = P4/mmm
Uncorrected energy = -19.8 eV per cell

----------

No. 1
# NaSi3Te GGA-PBE optimized geometry
data_NaSi3Te
_chemical_formula_sum 'Na1 Si3 Te1'
_symmetry_space_group_name_H-M 'P m -3 m'
_symmetry_Int_Tables_number 221
_symmetry_space_group_name_Hall '-P 4 2 3'
_cell_length_a 5.024
_cell_length_b 5.024
_cell_length_c 5.024
_cell_angle_alpha 90.00
_cell_angle_beta 90.00
_cell_angle_gamma 90.00
loop_
_atom_site_label
_atom_site_fract_x
_atom_site_fract_y
_atom_site_fract_z
Na1 0.000 0.000 0.000
Si1 0.000 0.000 0.500
Te1 0.500 0.500 0.500
# E in eV/f.u.: -13.8
>>>
across multiple accounts of one individual, or
multiple accounts held by multiple entities
More Stupid Optimizer Tricks
• We manipulate the cost basis of positions to create
different tax rates in different accounts
– To simulate an account with no capital gain tax, we can have
any tax rate we want as long as the cost basis of any position i s
equal to its current market price
• We adjust for different risk aversions by making each
version of a security contain a varying degree of
– IBM in an account that is twice as risk averse can be
represented as a composite asset consisting of 200% IBM, 100% cash
• Tax optimize the whole thing against an appropriate
joint benchmark